........
The following is a DFT calculation (ωB97M-V/def2-TZVPD) of the molecule C4H5FS.

Last column: Mulliken charge in e.
Atoms and positions in Å:
C -0.01788 0.48569 -1.54574  0.02
C -0.19614 -0.50220 -2.37012  0.03
C 0.34246 0.19839 -0.13886  -0.45
C -0.27867 -1.16655 0.39192  -0.63
F -0.57704 -0.82110 -3.52787  -0.16
S 0.41754 -2.47026 -0.69097  -0.21
H -0.33974 1.53824 -1.84942  0.30
H 1.40476 0.14492 0.15504  0.25
H -0.20700 0.94932 0.48581  0.25
H -0.12672 -1.55905 1.47532  0.33
H -1.41498 -1.18652 0.26897  0.28

Force components x, y, z for each atom (eV/Å):
-0.7 1.3 -0.9
1.2 -2.8 3.0
-1.3 -0.5 3.4
-0.9 -1.1 -0.3
-0.2 0.2 -1.2
-1.0 2.3 -1.8
0.6 -1.4 0.4
-0.3 0.5 -0.6
0.9 -0.1 -0.4
0.4 1.4 -1.6
1.5 0.3 0.0

2S+1: 1
energy above the lowest of the compared OMol25 structures with the same formula, charge and spin: 3.386 eV
total charge: 0
maximum force: 4.3 eV/Å
orbital gap (alpha / beta): 7.63 / 7.56 eV
HOMO level (alpha / beta): -8.46 / -8.44 eV


The following is a DFT calculation (ωB97M-V/def2-TZVPD) of C41H55BClN8O2ReS5 as an isolated structure.

Last column: Mulliken charge in e.
Atoms and positions in Å:
Re -0.10740 0.04300 -0.00790  0.37
C 1.63690 -1.77910 6.01410  -2.21
C 1.09730 -2.02910 4.60420  1.43
C 0.58740 -3.46840 4.51080  -1.59
C 2.22330 -1.77700 3.60480  -1.64
N -0.05170 -1.14070 4.33700  0.50
C -0.68810 -0.38470 5.28280  -0.60
C -1.80910 0.12500 4.72150  -1.16
N -1.87920 -0.31160 3.43150  0.24
B -3.15670 -0.06010 2.58100  1.83
N -3.36810 -1.15720 1.52030  -0.08
C -3.83260 -2.38730 1.89640  -1.36
C -3.97970 -3.13910 0.78640  -0.36
N -3.62100 -2.37690 -0.29600  0.67
C -3.23090 -1.17200 0.17820  -0.12
S -2.65980 0.17600 -0.69050  -0.32
C -3.73960 -2.92020 -1.66120  1.30
C -5.20500 -3.32060 -1.88520  -1.65
C -2.82170 -4.14390 -1.75950  -1.47
C -3.32470 -1.91560 -2.72910  -2.16
N -3.13260 1.36010 1.98510  -0.04
C -4.28330 2.06480 1.78550  -1.25
C -3.95250 3.30580 1.36330  -0.55
N -2.58710 3.37470 1.29400  0.47
C -2.11060 2.16670 1.66580  -0.15
S -0.44960 1.72590 1.76930  -0.03
C -1.81490 4.61030 1.07510  1.45
C -0.70920 4.40050 0.04300  -1.46
C -2.75050 5.70120 0.55100  -2.36
C -1.22010 5.01860 2.42460  -1.69
C -0.78620 -1.05610 3.20230  0.09
S -0.41050 -1.77470 1.67790  -0.35
H 2.48540 -2.43780 6.18100  0.47
H 0.89810 -2.01100 6.77710  0.52
H 1.98450 -0.75490 6.13040  0.46
H 1.40570 -4.15940 4.68880  0.49
H 0.17730 -3.66600 3.52530  0.33
H -0.18230 -3.64660 5.25850  0.39
H 3.11820 -2.29860 3.93240  0.53
H 2.44810 -0.71490 3.53940  0.24
H 1.97920 -2.13650 2.61100  0.39
H -0.32340 -0.25640 6.27720  0.58
H -2.55640 0.76820 5.13920  0.68
H -4.07840 -0.11790 3.32860  -0.24
H -4.03130 -2.61540 2.92210  0.67
H -4.30430 -4.15330 0.69010  0.57
H -5.53020 -4.08780 -1.18800  0.40
H -5.31320 -3.71980 -2.89000  0.44
H -5.86460 -2.46080 -1.78190  0.36
H -3.14670 -4.95240 -1.11010  0.38
H -1.80300 -3.86620 -1.49800  0.27
H -2.82450 -4.51180 -2.78150  0.46
H -3.91210 -1.00340 -2.67120  0.45
H -3.48300 -2.35960 -3.70780  0.58
H -2.26870 -1.67540 -2.63520  0.34
H -5.24550 1.63160 1.96210  0.68
H -4.60460 4.11930 1.13260  0.59
H -1.14390 4.10200 -0.90790  0.29
H 0.00230 3.64470 0.36540  0.38
H -0.16600 5.33140 -0.09770  0.63
H -3.27410 5.36480 -0.34170  0.44
H -2.16100 6.57220 0.27950  0.45
H -3.46900 6.01010 1.30510  0.57
H -0.53220 4.25590 2.77950  0.28
H -2.00520 5.15790 3.16420  0.40
H -0.67680 5.95140 2.30870  0.49
S 2.62840 0.47330 -2.00650  -0.09
C 2.06640 1.40720 -3.26130  0.50
N 2.86320 1.75630 -4.28340  0.15
C 2.40220 2.66470 -5.30560  -0.79
C 0.93950 2.38170 -5.59610  -0.78
N 0.18160 2.43430 -4.36390  0.21
C -1.09190 3.11460 -4.44990  -1.38
C -0.88340 4.61280 -4.51630  0.85
C -1.49830 5.38190 -5.49590  -0.42
C -1.28270 6.75010 -5.54800  -0.61
C -0.44320 7.35670 -4.62890  -0.48
C 0.17120 6.59570 -3.64780  -1.08
C -0.04770 5.23080 -3.59400  0.14
C 0.68680 1.90690 -3.24250  -0.28
S -0.25850 1.84770 -1.84930  -0.32
C 4.16740 1.15980 -4.49130  -1.48
C 4.07080 0.14060 -5.60060  0.73
C 3.14590 -0.89240 -5.48710  -0.15
........

What is needed: repeat everything above character by character.

The following is a DFT calculation (ωB97M-V/def2-TZVPD) of the molecule C4H5FS.

Last column: Mulliken charge in e.
Atoms and positions in Å:
C -0.01788 0.48569 -1.54574  0.02
C -0.19614 -0.50220 -2.37012  0.03
C 0.34246 0.19839 -0.13886  -0.45
C -0.27867 -1.16655 0.39192  -0.63
F -0.57704 -0.82110 -3.52787  -0.16
S 0.41754 -2.47026 -0.69097  -0.21
H -0.33974 1.53824 -1.84942  0.30
H 1.40476 0.14492 0.15504  0.25
H -0.20700 0.94932 0.48581  0.25
H -0.12672 -1.55905 1.47532  0.33
H -1.41498 -1.18652 0.26897  0.28

Force components x, y, z for each atom (eV/Å):
-0.7 1.3 -0.9
1.2 -2.8 3.0
-1.3 -0.5 3.4
-0.9 -1.1 -0.3
-0.2 0.2 -1.2
-1.0 2.3 -1.8
0.6 -1.4 0.4
-0.3 0.5 -0.6
0.9 -0.1 -0.4
0.4 1.4 -1.6
1.5 0.3 0.0

2S+1: 1
energy above the lowest of the compared OMol25 structures with the same formula, charge and spin: 3.386 eV
total charge: 0
maximum force: 4.3 eV/Å
orbital gap (alpha / beta): 7.63 / 7.56 eV
HOMO level (alpha / beta): -8.46 / -8.44 eV


The following is a DFT calculation (ωB97M-V/def2-TZVPD) of C41H55BClN8O2ReS5 as an isolated structure.

Last column: Mulliken charge in e.
Atoms and positions in Å:
Re -0.10740 0.04300 -0.00790  0.37
C 1.63690 -1.77910 6.01410  -2.21
C 1.09730 -2.02910 4.60420  1.43
C 0.58740 -3.46840 4.51080  -1.59
C 2.22330 -1.77700 3.60480  -1.64
N -0.05170 -1.14070 4.33700  0.50
C -0.68810 -0.38470 5.28280  -0.60
C -1.80910 0.12500 4.72150  -1.16
N -1.87920 -0.31160 3.43150  0.24
B -3.15670 -0.06010 2.58100  1.83
N -3.36810 -1.15720 1.52030  -0.08
C -3.83260 -2.38730 1.89640  -1.36
C -3.97970 -3.13910 0.78640  -0.36
N -3.62100 -2.37690 -0.29600  0.67
C -3.23090 -1.17200 0.17820  -0.12
S -2.65980 0.17600 -0.69050  -0.32
C -3.73960 -2.92020 -1.66120  1.30
C -5.20500 -3.32060 -1.88520  -1.65
C -2.82170 -4.14390 -1.75950  -1.47
C -3.32470 -1.91560 -2.72910  -2.16
N -3.13260 1.36010 1.98510  -0.04
C -4.28330 2.06480 1.78550  -1.25
C -3.95250 3.30580 1.36330  -0.55
N -2.58710 3.37470 1.29400  0.47
C -2.11060 2.16670 1.66580  -0.15
S -0.44960 1.72590 1.76930  -0.03
C -1.81490 4.61030 1.07510  1.45
C -0.70920 4.40050 0.04300  -1.46
C -2.75050 5.70120 0.55100  -2.36
C -1.22010 5.01860 2.42460  -1.69
C -0.78620 -1.05610 3.20230  0.09
S -0.41050 -1.77470 1.67790  -0.35
H 2.48540 -2.43780 6.18100  0.47
H 0.89810 -2.01100 6.77710  0.52
H 1.98450 -0.75490 6.13040  0.46
H 1.40570 -4.15940 4.68880  0.49
H 0.17730 -3.66600 3.52530  0.33
H -0.18230 -3.64660 5.25850  0.39
H 3.11820 -2.29860 3.93240  0.53
H 2.44810 -0.71490 3.53940  0.24
H 1.97920 -2.13650 2.61100  0.39
H -0.32340 -0.25640 6.27720  0.58
H -2.55640 0.76820 5.13920  0.68
H -4.07840 -0.11790 3.32860  -0.24
H -4.03130 -2.61540 2.92210  0.67
H -4.30430 -4.15330 0.69010  0.57
H -5.53020 -4.08780 -1.18800  0.40
H -5.31320 -3.71980 -2.89000  0.44
H -5.86460 -2.46080 -1.78190  0.36
H -3.14670 -4.95240 -1.11010  0.38
H -1.80300 -3.86620 -1.49800  0.27
H -2.82450 -4.51180 -2.78150  0.46
H -3.91210 -1.00340 -2.67120  0.45
H -3.48300 -2.35960 -3.70780  0.58
H -2.26870 -1.67540 -2.63520  0.34
H -5.24550 1.63160 1.96210  0.68
H -4.60460 4.11930 1.13260  0.59
H -1.14390 4.10200 -0.90790  0.29
H 0.00230 3.64470 0.36540  0.38
H -0.16600 5.33140 -0.09770  0.63
H -3.27410 5.36480 -0.34170  0.44
H -2.16100 6.57220 0.27950  0.45
H -3.46900 6.01010 1.30510  0.57
H -0.53220 4.25590 2.77950  0.28
H -2.00520 5.15790 3.16420  0.40
H -0.67680 5.95140 2.30870  0.49
S 2.62840 0.47330 -2.00650  -0.09
C 2.06640 1.40720 -3.26130  0.50
N 2.86320 1.75630 -4.28340  0.15
C 2.40220 2.66470 -5.30560  -0.79
C 0.93950 2.38170 -5.59610  -0.78
N 0.18160 2.43430 -4.36390  0.21
C -1.09190 3.11460 -4.44990  -1.38
C -0.88340 4.61280 -4.51630  0.85
C -1.49830 5.38190 -5.49590  -0.42
C -1.28270 6.75010 -5.54800  -0.61
C -0.44320 7.35670 -4.62890  -0.48
C 0.17120 6.59570 -3.64780  -1.08
C -0.04770 5.23080 -3.59400  0.14
C 0.68680 1.90690 -3.24250  -0.28
S -0.25850 1.84770 -1.84930  -0.32
C 4.16740 1.15980 -4.49130  -1.48
C 4.07080 0.14060 -5.60060  0.73
C 3.14590 -0.89240 -5.48710  -0.15